
Every November, communities come together to celebrate how we can make the world easier for everyone. On Wednesday, November 10, ISG will host its 3rd annual program to explore this year’s theme, Design of Our Online World: Trust, Ethics, and Integrity. 

With this theme, we seek to examine online products and design systems that are helping us to stay connected and to learn and grow during these transformational times. We also aim to address critical issues like dark patterns, ethical design, designing for trust, and designing for diversity, equity, and inclusion. We look forward to learning with you through presentations, panel discussions, and activities throughout the day.

Look for more information in the future.

Save the date: Wednesday, November 10, 2021


Want to learn more about ISG’s approach to Risk Management?

Check out what’s new on the Risk Management Confluence Space that is now accessible from the QualityNet Communications Hub. Among other new items, we’ve made it easier to get to the ISG Risk and Issue Management Plan (RIMP) and have added new microlearning videos. 

While the role and responsibilities of the Product Owner can be described simply enough, very little is said about the day-to-day practice of those fulfilling the role. This workshop will teach you how to handle the complex responsibilities of a great Product Owner.

Join us August 24th- 25th for the LACE Foundations: Product Ownership Session

Register Here

Presenting embedded: a digital newsletter for everyone passionate about learning, sharing and practicing Human-Centered Design (HCD). In each issue of embedded, you’ll read about HCD methodologies, case studies, best practices, insider tips, and even relatable personal experiences presented by your colleagues in CCSQ.

In the inaugural EMPATHY-themed issue, you’ll find articles like these and much more:

Stay tuned for the next issue.

HCD Center of Excellence  :::  embedded. the newsletter  :::  Join the CCSQ HCD CoE News Mailing List

Understanding your customers is foundational to human-centered design (HCD). How do you create a shared understanding of your customers across a team and leverage customer research? Personas, a fictitious yet realistic representation of your target customers, can help you do just that.

During this online training attendees will learn the benefits of using personas to drive creativity in their roles at CMS or the HCQIS Community. They will finish the course with the skills needed to use personas to develop empathy for their customers and power ideation for product features and customer experience improvements.

Register Here

User research provides a critical design strategy foundation that allows you to understand and empathize with customers to design valuable products and services. Something this important does not come easy. At times, conducting user research can feel as though it is full of barriers, but it can be easier to manage with some upfront organization. 

Join us for a case study of how the recently centralized Quality Payment Program’s (QPP) human-centered design team learned to be effective by scaling and streamlining the research processes. Highlights will include lessons learned when setting up a user research panel in Salesforce, creating a research repository in EnjoyHQ, and measuring the experience with a modified version of Forester’s Customer Experience Index. 

Register Here

As of Monday July 19th, several changes will be made to Shared Services communications in order to ensure the user community is receiving accurate and up-to-date information regarding the services they are relying on. A list of Shared Services can be located at QualityNet IT Services. The upcoming changes include:


The #hcqis-service-interuption channel will be retired and two new channels below will be created. Note: If you are currently following the #hcqis-service-interuption channel, you will automatically be added to the new channels listed below.

  • #qnet-planned-activities: This channel will be used to notify the user community of release notices and scheduled maintenance and will include planned activities with and without anticipated downtime.
  • #qnet-unplanned-service-interruption: This channel will be used to quickly notify the user community of reported issues impacting the user experience as well as unplanned service outages and access issues.


The Release and Environment Coordination (REC) is being revamped to include direct input from the service teams and will serve as the main Confluence method for notifying the user community of planned activities. The REC page will provide a consolidated view of all planned activities for the shared services. The REC page is located at Release and Environment Coordination (REC).


You will continue to receive email updates from the service-specific listservs as usual. If you have any questions, please contact us on Slack at #help-service-center-sos.

CMS CCSQ users have access to CMS-approved and developed emailing and messaging tool.

With both distribution and discussion lists, QualityNet Mailer offers customizable email solutions with easy-to-manage features. Schedule meetings and events or deliver news and important information with notification lists, which serve as simple, one-way communications.  Discussion lists provide the ability for comments and conversation, with review and release controls available for administrators. In addition, QualityNet Mailer offers public and private subscription options for easy membership management.

This CMS-approved tool has been called a lifesaver by users and can simplify and streamline your emailing and discussion list workflows.

Visit the QualityNet Mailer Confluence space for more information, or to request a demo or sign up, contact the mailer team at

Attendees will experience the creative process of using personas to develop empathy for their customers and power ideation.

Understanding your customers is foundational to human-centered design (HCD). How do you create a shared understanding of your customers across a team and leverage customer research? Personas, a fictitious yet realistic representation of your target customers, can help you do just that.

During this online, three-hour training, attendees will learn the benefits of using personas to drive creativity in their roles at CMS or the HCQIS Community. They will finish the course with the skills needed to use personas to develop empathy for their customers and power ideation for product features and customer experience improvements.

Register Here

All CMS CCSQ users are encouraged to obtain access to CCSQ QualityNet Atlassian and Slack to enhance collaboration. When we all use the same collaboration tools, we increase transparency across CCSQ while eliminating redundancy. Some of the benefits of using CCSQ QualityNet Atlassian and Slack include reducing meetings, reducing version control issues, cutting down on email, and ultimately connecting people with the information they need when they need it.

Get started today by accessing the *NEW* CMS User Collaboration page on Confluence, which outlines steps CMS users should take to create their HARP account and request access to CCSQ QualityNet Atlassian and Slack. 

Join us on Friday, June 25, for a case study about understanding Hospital Quality Reporting (HQR) as a multifaceted service. Service design requires understanding the customer experience and how an organization’s resources (people, processes, and systems) affect the customer journey. Two critical service design tools are journey maps, which visualize a customer’s experience of a product or service from their vantage point, and service blueprints, which allow you to understand and imagine all the intricate components that make up the service. 

In this joint presentation, three HQR Human-Centered Design User Research team members will share the service blueprint and user journey maps they created to understand how healthcare providers and quality improvement stakeholders experience CMS’s HQR system. 

Register Now

Many organizations use root cause analysis to identify the fundamental reasons for an incident or failure so that they can improve future outcomes, but it often stops short at what and who instead of the systemic why.

- - -
(1)
{
  "formula": "C2H3O3S",
  "method": "the ωB97M-V functional and the def2-TZVPD basis",
  "species": ["C", "C", "S", "O", "O", "O", "H", "H", "H"],
  "positions_angstrom": [[0.549, 0.276, 1.331], [-0.293, 0.629, 0.387], [-0.356, -0.509, -1.014], [-0.001, -1.835, -0.565], [0.638, 0.001, -1.982], [-1.826, -0.456, -1.651], [0.828, 0.841, 2.242], [1.101, -0.533, 0.944], [-0.640, 1.586, 0.307]],
  "nbo_charge": [-0.41, -0.44, 2.30, -1.01, -1.02, -1.03, 0.18, 0.23, 0.20],
  "smiles": "C=CS(=O)(=O)[O-]",
  "total_charge": -1,
  "e_above_lowest_kj_mol": 188.98,
  "e_tot_ev": -19100.2936,
  "lumo_ev": 3.977
}



(2)
{
  "formula": "C65H67BBeN9O4",
  "method": "the ωB97M-V functional and the def2-TZVPD basis",
  "species": ["Be", "C", "C", "C", "C", "C", "O", "N", "C", "C", "C", "C", "C", "C", "C", "C", "C", "C", "C", "N", "C", "C", "C", "C", "C", "C", "C", "N", "C", "C", "C", "C", "C", "C", "N", "C", "C", "C", "C", "C", "C", "N", "C", "O", "C", "C", "C", "C", "C", "C", "C", "C", "C", "C", "C", "C", "N", "C", "O", "C", "C", "C", "C", "N", "C", "C", "C", "C", "C", "C", "N", "C", "O", "C", "C", "C", "C", "H", "H", "H", "H", "H", "H", "H", "H", "H", "H", "H", "H", "H", "H", "H", "H", "H", "H", "H", "H", "H", "H", "H", "H", "H", "H", "H", "H", "H", "H", "H", "H", "H", "H", "H", "H", "H", "H", "H", "H", "H", "H", "H", "H", "H", "H", "H", "H", "H", "H", "H", "H", "H", "H", "H", "H", "H", "H", "H", "H", "H", "H", "H", "H", "B", "C", "N", "H", "H", "H"],
- - -
(End of the quantum chemistry results)

Join the CCSQ HCD Community of Practice 
on Friday, May 28 at 1 PM ET for a high-level review of leveraging human-centered approaches for structured root cause analysis efforts. Learn more and register on Eventbrite.

Leveraging Human-Centered Techniques in Root Cause Analysis: Tracing Cause Without Blame  

Many organizations use root cause analysis to identify the fundamental reasons for an incident or failure so that they can improve future outcomes, but it often stops short at what and who instead of the systemic why. Join the CCSQ HCD Community of Practice on Friday, May 28 at 1 PM ET for a high-level review of leveraging human-centered approaches for structured root cause analysis efforts. Learn more and register on Eventbrite.

The May 2021 edition of HCQIS Chat is scheduled for Thursday, May 6th from 1:00 to 2:00 pm ET.
This will be our first ISG Leadership panel discussion of 2021! Thank you to those who submitted questions/topics.Find Zoom info and other details on the HCQIS Chat May 2021 Confluence page:

HCD CoP | April 2021